Friday, July 10, 2009

Transformers: Revenge of the Fallen

The 2009 sequel to the 2007 film just simply titled, Transformers, certainly is an... interesting film, to say the least. Let me just get this clear; Michael Bay could not direct traffic, and I do mean this in the most sincere way possible. This movie contains even more over-the-top action, obscene jokes, and general mindfuckery than the previous movie. The plot is a bit vague and mediocre at best, but that's to be expected from Bay and a movie about giant robots beating the shit out of each other and that whore Megan Fox.

• Misplaced data records:
........
The following is a DFT calculation (the ωB97M-V functional and the def2-TZVPD basis) of a molecular structure, C43H50BiN9O9 at a distorted geometry.

Cartesian coordinates (Å):
H -5.927 -3.150 2.368
C -0.793 -3.692 0.512
H 1.225 -1.033 2.268
H 0.410 4.189 2.716
C -4.215 2.706 0.862
C 0.113 -3.541 1.567
C 3.410 -3.463 -1.805
H -4.742 -4.273 1.682
N 0.486 1.227 1.487
O 1.550 -2.103 -1.312
H 1.763 3.723 -3.449
H 0.336 -2.799 3.566
C -2.172 2.170 3.880
C 3.284 0.369 -1.279
C -0.216 2.585 -2.058
C 5.062 -1.255 -1.691
C 3.999 0.889 2.163
C -4.243 -1.023 2.803
C -0.341 -2.921 2.727
C 1.771 2.638 -3.510
H -1.958 -1.971 3.756
H 2.877 -1.418 2.784
O 7.729 -1.693 -1.972
N 7.027 -2.679 -2.090
C 1.528 -4.052 1.459
C 0.132 0.770 -3.597
N -0.612 1.756 -1.127
H 5.711 -0.393 -1.658
H 1.750 -0.172 -2.983
N 1.922 2.693 2.708
C -1.834 2.050 1.061
H -5.268 -0.663 2.699
O 3.228 -5.755 -1.865
H -3.565 -0.203 2.552
N -0.426 3.935 -2.068
H 3.397 3.340 4.071
C -0.632 4.660 -3.313
C -2.916 2.352 -1.105
H 1.543 -5.073 1.076
H -0.322 5.653 -0.913
H 2.742 1.722 4.371
C -2.909 -1.860 -3.856
H 4.502 0.563 3.077
O 2.049 0.656 -0.992
H -2.795 -3.418 -0.179
H 1.767 3.153 4.746
C 2.811 -2.188 -1.540
H -4.967 -1.447 -3.738
Bi 0.201 -0.494 -0.576
H 2.531 -1.230 1.068
C 4.765 -3.618 -1.983
H -2.280 2.202 4.957
C -1.650 -2.461 2.839
H -0.142 1.462 3.965
C -0.651 -2.616 -3.684
H 1.228 3.864 1.167
O 0.794 -0.274 -2.910
C 1.363 3.935 2.239
H 2.079 4.735 2.437
N 0.469 2.088 -3.132
H -0.607 4.166 0.001
C 2.279 -0.854 2.065
C -0.741 1.725 1.950
H -2.648 -0.621 -0.218
C -4.868 -3.420 2.350
C -2.559 -2.644 1.804
H -4.837 -0.813 -1.263
C 5.585 -2.512 -1.921
C 3.705 -1.069 -1.501
C -2.731 -0.978 -1.247
C -1.786 2.070 -0.378
H -0.446 4.023 -4.169
H -1.667 5.014 -3.360
O 4.127 1.247 -1.396
C -2.106 -3.276 0.647
C -0.954 1.771 3.315
H 0.342 0.725 -4.668
O 7.444 -3.799 -2.317
C 2.492 2.727 4.043
H -2.855 2.295 -2.186
C -4.017 -1.471 -3.219
C 1.608 1.497 2.105
H 4.469 0.395 1.311
H -5.007 2.872 -1.108
H 2.109 -3.443 0.763
H -1.924 4.881 -0.919
N 2.581 0.556 2.202
C -4.013 -2.230 1.897
C -4.138 2.668 -0.496
C -3.949 -1.079 -1.819
O 1.404 -4.628 -1.897
C -0.846 4.695 -0.908
H -4.182 2.762 3.479
H -0.462 -4.142 -0.418
H 1.980 2.354 -4.542
C -1.624 -1.901 -3.132
H -4.575 -3.731 3.356
H -4.093 -1.281 3.855
C -3.220 2.481 3.068
H -4.330 -1.958 0.885
H -2.919 -2.167 -4.896
H -5.144 2.952 1.361
H 2.026 -4.040 2.429
H 2.566 2.272 -2.857
H -0.928 0.593 -3.429
N 2.612 -4.701 -1.872
O 0.162 -3.159 -4.320
H 0.025 5.531 -3.362
N -1.538 -1.277 -1.847
H 5.173 -4.599 -2.169
H 4.129 1.960 2.040
C -3.083 2.408 1.663

The value obtained for the largest force on an atom is 1.001 eV/A. As for the total energy: -83074.810 eV.

Results of the Mulliken charge analysis, in e, for atoms 1 through 5: atom 1 (H): 0.449, atom 2 (C): -0.496, atom 3 (H): -0.115, atom 4 (H): 0.225, atom 5 (C): -1.021
........

The movie starts off as such - thousands of years before Optimus Prime and co. had arrived on Earth, a race of ancient Transformers known as "the Dynasty of Primes" traveled the galaxy looking for sources of Energon. They used something called a "Solar Harvester" to drain stars of their energy and convert it to Energon to power Cybertron's AllSpark (their life energy), when the AllSpark is low on energy. All of the Primes agreed to spare life-bearing planets except for one, known as The Fallen, who constructs a Solar Harvester on Earth in the year 17,000 BC. The other Primes sacrifice themselves to hide the "Matrix of Leadership" from The Fallen, which is what is needed to power the Solar Harvester, in a tomb made from their own bodies.

Lost yet?

Anyways, the next part of the movie takes place two years after the final battle in the city between the Autobots and the Decepticons in the last movie. The Autobots have teamed up with the US Military to create a defence force against the Decepticons called "NEST". The government tries to keep the existance of the Transformers a secret (despite the fact that the Transformers fought out in the open in a populated city in the last movie).

Already we are greeted with a full-scale battle. NEST and the Autobots are tracking down Decepticon signatures. They pick up the signature of Demolishor, a Decepticon excavator, and a battle is underway.

Upon being discovered, Demolishor begins his attack, basically destroying anything in his path. Another Decepticon signature is detected, this time belonging to a Decepticon car called Sideways, who attempts to flee. Sideways is pursued by three motorcycle components called Arcee, two robots named Skids and Mudflap disguised as a beat-up looking ice cream truck, and Sideswipe, a sleek-looking car. Eventually, Sideswipe transforms and slices Sideways in half through the middle, in a vibrant display of badassery.

Optimus Prime is airlifted to the scene, and with Ironhide, pursues Demolishor. Optimus proceeded to beat the shit out of Demolishor, who, with his last dying "breath" stated that "The Fallen shall rise again," before being executed by Optimus.

Meanwhile, Sam Witwicky is preparing to leave for college (note his poster of The Smiths, which I did not expect. At all). He discovers a shard of the AllSpark, which burns through his floor and lands in the kitchen, which brings various household appliances to life, that proceed to chase him out of the house. Bumblebee appears out of the garage and destroys the rouge robots (as well as part of the house). Sam gives the AllSpark, concealed in a container, to his girlfriend Mikaela, and explains to Bumblebee that he cannot bring Bumblebee to college with him, since he's... apparently not allowed to bring a car, or something. Bumblebee of course responds dramatically.

Sam arrives at college and meets his roomate Leo Spitz, who's rather a nut, and opporates a conspiracy website entitled The Real Effing Deal. However, Sam's mother manages to get ahold of pot brownies, which she of course eats, and proceeds to covort around until Sam's father drags her away. How awkward.

Records of molecules from another source follow
-- begin --
[1]
-- stop --

Later that night, Sam goes to a frat party (in the background, The Used's cover of the Talking Heads' "Burning Down the House" can be heard, which honestly made me rage more than anything else in the movie) and is hit on by a vapid whore named Alice. Sam runs outside, to find Bumblebee waiting for him. Alice forces herself into the car, but Bumblebee manages to wreak enough havoc on her to get her to leave. Bumblebee takes Sam to see Optimus Prime, who explains to Sam how he feels that he might be in danger. Sam denies this.

Meanwhile, back at the NEST base, National Security Adviser Theodore Galloway visits and claims that the only reason that Decepticons are appearing on Earth is because of the Autobots' presence. He suggests that they leave the planet, which Optimus agrees to, but also brings up the question, "what if you're wrong?" Galloway continues to babble, eventually revealing the location of the remaining fragment of the AllSpark (to their knowledge), which is intercepted by Soundwave, a Decepticon orbiting the Earth disguised as a satellite (he's voiced by Frank Welker, but he uses his Dr. Claw voice). Soundwave dispatches Ravage, a Decepticon resembling a large cat, to retrive the AllSpark fragment.

Ravage, as well as several Constructicons, dive into the Laurentian Abyss, which is where the US government dumped all traces of Megatron in the previous movie. Using the fragment and parts "willingly donated" by one of the Constructicons, a small robot known as "the Doctor" (not the Doctor you all are probably thinking about) is able to reconstruct Megatron, making him more powerful than he ever was before.

Megatron then travels to one of Saturn's moons, where the wreckage of the Decepticon ship, "Nemesis" is being used as a base by the Decepticons. He bickers with Starscream (which I throughly enjoyed, trust me) and converses with The Fallen.

Just to break away from the plot synopsis just a bit, one of the things that irks me in this movie is how they made the relationship between Megatron and "his overlord", The Fallen, similar to the relationship between Darth Vader and Palpatine in Star Wars. In the original 1986 Transformers Movie, Megatron/Galvatron tries at every chance he gets to decieve Unicron. I don't feel like getting too much into that, but basically, the Megatron in Bay's movies is completely unlike G1 Megatron, but whatever, we all kind of knew that.

Anyways... meanwhile, Sam is seeing strange symbols and is writing them all over the place. He concludes that this has something to do with his contact with the AllSpark shard at the beginning of the movie, and warns Mikaela over the phone not to touch it. During the phonecall, a Decepticon called Wheelie, disguised as a remote-controlled car and is basically a mixture of Johnny-5 and Wall-E with a vulgar tounge, attempts to open the safe containing the shard, but is stopped by Mikaela, who burns one of his eyes with a blowtorch and shoves him in a locked box.

Mikaela arrives, with Wheelie in a box, to Sam's college, only to find Sam with Alice on top of him. Comes to find out, Alice is a Decepticon disguised as a human (a "Pretender"). Alice chases Sam, Mikaela, and Leo, who attempt a getaway in a car that Mikaela hotwires. Mikaela rams Alice into a lightpost, killing her. However, Starscream captures them, and brings them where Megatron awaits them.

Megatron pins down Sam and orders the Doctor to remove Sam's brain so they can examine it and access the information from the AllSpark shard. Before they can do so, Optimus and Bumblebee break in. Mikaela and Leo flee with Bumblebee, but in order for Sam to be able to flee safely, Optimus has to fight not only Megatron, but also Starscream as well as a newcomer, Grindor (who happens to resemble a certain helicoptor from the first movie, but that totally isn't him, nope, not at all!).

# Next to the article, the page also holds calculated molecules
[1]
{
  "formula": "C20H45N2P3PrSSe",
  "method": "ωB97M-V/def2-TZVPD",
  "s2": 2.010,
  "homo_energy_ev": [-16.19, -16.20],
  "total_charge": 3,
  "total_energy_ha": -5238.195606,
  "e_above_lowest_ev": 0.843,
  "spin_multiplicity": 3,
  "lumo_energy_ev": [-10.677, -9.587],
  "gap_ev": [5.517, 6.618],
  "species": ["Pr", "P", "P", "P", "H", "C", "C", "H", "C", "C", "C", "C", "C", "C", "C", "C", "C", "H", "H", "H", "H", "H", "H", "H", "H", "H", "H", "H", "H", "H", "H", "H", "H", "H", "H", "H", "H", "H", "H", "H", "H", "H", "H", "H", "H", "H", "C", "C", "C", "C", "C", "C", "Se", "H", "H", "H", "H", "H", "H", "C", "N", "C", "S", "N", "C", "H", "H", "H", "H", "H", "H", "H", "H"],
  "coordinates": [[1.5176, 1.0445, -0.4298], [-0.8484, 1.6437, -2.0532], [-2.2641, -1.0421, 0.0632], [0.6973, -1.9085, -1.7560], [5.7528, 1.9198, 1.1055], [5.5705, 1.6230, 0.0870], [4.3136, 1.4638, -0.3988], [3.5767, 1.3923, 0.4479], [-1.2731, 3.3965, -1.7164], [-2.2481, 1.2343, -3.1530], [0.4889, 1.8577, -3.3512], [-2.6234, -2.2934, 1.3770], [-3.3493, 0.3203, 0.6622], [-3.3031, -1.7162, -1.2968], [2.3639, -2.4269, -2.3609], [-0.2396, -2.0201, -3.3344], [0.1216, -3.4794, -0.9724], [6.4858, 1.4830, -0.4873], [4.1349, 1.4321, -1.4926], [-0.7025, 3.8419, -0.8964], [-2.3381, 3.4698, -1.4628], [-1.0923, 3.9715, -2.6310], [-3.2012, 1.2383, -2.6128], [-2.1454, 0.2659, -3.6548], [-2.3067, 2.0100, -3.9290], [1.5230, 1.9734, -2.9539], [0.2077, 2.7869, -3.8589], [0.4961, 1.0404, -4.0866], [-3.6489, -2.6748, 1.2402], [-2.5287, -1.8601, 2.3812], [-1.9137, -3.1277, 1.3000], [-4.3891, -0.0452, 0.6759], [-3.2739, 1.1801, -0.0216], [-3.0708, 0.6586, 1.6733], [-4.3124, -1.9047, -0.9155], [-2.9015, -2.6535, -1.6907], [-3.3579, -0.9991, -2.1157], [2.3437, -3.4696, -2.7139], [3.0592, -2.3382, -1.5206], [2.7204, -1.7955, -3.1916], [0.0945, -2.8813, -3.9292], [-0.0564, -1.1001, -3.9065], [-1.3199, -2.1162, -3.1544], [0.5899, -4.3316, -1.4767], [-0.9691, -3.6075, -1.0171], [0.4133, -3.5197, 0.0874], [2.5133, -1.7608, 2.0598], [3.5592, -0.8450, 2.2706], [4.7882, -1.1839, 1.7661], [4.9953, -2.5102, 1.3610], [4.0346, -3.5023, 1.5228], [2.7724, -3.1665, 2.0341], [0.7410, -1.0669, 1.7082], [1.8310, -1.6711, 0.6611], [3.4066, 0.1182, 2.7507], [5.5873, -0.4509, 1.6070], [5.9498, -2.7960, 0.8953], [4.2441, -4.5339, 1.2797], [1.9384, -3.8515, 2.0799], [-3.5596, 3.6256, 2.2094], [-2.1087, 3.6827, 2.0067], [-1.2479, 2.6857, 2.3177], [0.3547, 2.6387, 1.5724], [-1.6141, 1.7714, 3.2443], [-2.4751, 2.0660, 4.3985], [-3.8345, 3.8993, 3.2392], [-3.9822, 2.6426, 1.9925], [-4.0326, 4.3643, 1.5702], [-1.7727, 4.3697, 1.3394], [-0.8322, 1.1428, 3.4420], [-2.0596, 1.5413, 5.2777], [-2.4853, 3.1474, 4.6065], [-3.5050, 1.7069, 4.2289]],

Optimus manages to sever one of Starscream's arms and kill Grindor (he smashes his head like a fucking pumpkin, and it's awesome), but Megatron delivers a fatal blow with his blade-arm, and we are once again faced with one of the many "deaths of Optimus Prime". The rest of the Autobots appear, and cause Megatron and Starscream to retreat as Sam flees with Mikaela, Leo, Bumblebee and followed by Skids and Mudflap (who by now, have scanned their own alt. modes, and no longer combine into an ice cream truck).

Megatron and Starscream flee on top of skyscrapers, where they bicker some more and prepare a world-wide signal hijack. The Fallen airs a hijacked broadcast where he reveals himself to the world and demands Sam surrendered to him. Meanwhile, Decepticons attack all over the globe, and one of them locates and kidnaps Sam's parents, who are on vacation in Paris.

Sam, Mikaela, and Leo are hiding out with Bumblebee, Skids, and Mudflap. We're then introduced more to "the Twins". Just a fair warning, from this point on, we're going to see a lot of the Twins. The Twins are actually both accused of being racial stereotypes. One even has a gold tooth. We'll let you be the judge (though, I will admit that I actually knew people who acted like these two way back in middle school).

Leo suggests that their only option is to seek "Robo-Warrior", who runs a rival website called Robo-Warrior turns out to be none other than Seymour Simmons, also known as that douchebag Sector Seven agent from the last movie. Simmons is found working in a deli, since he was left unemployed when Sector Seven was disbanded. Simmons is reluctant to assist the three, but eventually agrees, showing them his "secret room" which is located under a meat locker (Swine Flu jokes, ahoy).

It is revealed that the symbols, aka "Cyberglyphics", that Sam was hallucinating and writing all over the place, can be found on various locations all over the globe. Mikaela forces Wheelie to read the symbols, and tells them the location of old robots known as "the Seekers", who came to Earth years ago searching for something.

Sam and co. make it to the Smithsonian, which is the nearest location of a Seeker. After having to see his... er... bulge, Simmons comes up with a plan which basically consists of him and Leo tasering the guards. Leo manages to accidently taser himself. Anyways, they manage to find the Seeker, Jetfire, who is disguised as an SR-71 Blackbird jet. The AllSpark shard manages to awake him, and everyone is shocked to find out that he bears a Decepticon emblem. However, Jetfire claims that he switched sides a while ago.

Let me just clarify - Jetfire is awesome. He is easily one of the best characters in the whole damn movie. He's a crotchy old bot with a goddamn walking stick. A robot with a walking stick. It doesn't get much better than that, folks.

Jetfire explains the backstory of The Fallen and the original Primes, and how The Fallen plans to destory the Earth's sun for energy. The reasons why the Decepticons want Sam's brain so much is because the symbols he sees are actually a map that leads to the Solar Harvester. Jetfire also says that only a Prime can defeat The Fallen, and that the Matrix of Leadership is needed to activate the Harvester, as well as possibly be able to revive Optimus.

Jetfire opens a "space bridge" and teleports them all to Egypt. They find a clue between the Pyramids of Giza, that the Tomb of the Primes is located in Jordan. They make their way to Jordan, while on the way, Simmons calls and instructs Lennox (one of the members of NEST and military personell from the first movie) to bring NEST and the body of Optimus, to Egypt.

Skids and Mudflap start bickering, and manage to crack open a wall, which conseals the Tomb of the Primes. The Matrix is located, however, it crumbles to dust in Sam's hands. Sam gathers the dust and returns to Egypt, where NEST is waiting, and as we are about to witness an almost endless bout of FIRING IN THE SAND.

The Decepticons begin their attack, and at the same time, try to intercept Sam. Some of the Constructicons combine to form the collossal Devastator, whom Skids and Mudflap try to slow down. Devastator sucks up sand and Mudflap, who manages to free himself from his throat.

The Decepticons use Sam's parents to lure him into a trap, which they are successful at doing. He manages to stall enough time for Bumblebee to appear out of ambush and attack and destory not only Rampage, but Ravage as well (who he basically disembowels, wow). Sam orders Bumblebee to get his parents to safety as he and Mikaela attempt to make their way to Optimus' body.

Devastator begins to climb one of the pyramids and tear it apart, as Simmons follows. We then get to see Devastator's imfamous... robot (wrecking) balls (smooth one, Bay). Simmons manages to contact a Navy ship and orders them to use a top-secret railgun (which surprisingly works). They fire the railgun at Devastator, which kills him.

Megatron flies over and fires a shot at Sam, which mortally wounds him. As he lays there and paramedics attempt to revive him, Sam seriously, not joking, goes to "Robot Heaven", where the original Primes explain to him that it is his "destiny" to find the Matrix and revive the last Prime to defeat The Fallen. Not kidding here. Robot Heaven.

Sam awakens and proceeds to use the Matrix, which reformed, to revive Optimus. The Fallen teleports over, steals the Matrix, and uses it to power the Harvester. Jetfire appears and manages to kill one of the Decepticons, Mixmaster, but is fatally wounded by Skorponok, who appears out of nowhere ( a "REMEMBER ME? BITCH!" sort of scenario) from the sand. Jetfire, before ripping out his Spark, instructs Optimus to use his own remains as battle armor to fight The Fallen. Ratchet and Jolt (who decided to appear out of nowhere) assist in turning his remains into battle armor for Optimus.

In an anti-climactic chain of events, Optimus manages to beat the living shit out of The Fallen, and rip off his face ("GIVE ME YOUR FACE!"), and crush his spark core as a severely injured Megatron looks on in horror. Starscream then appears to suggest to Megatron that they do what he does best, cower away and flee.

After winning the long, repetitive battle, NEST, Sam and co. return to the US. Sam and Leo resume attending college.

Overview: This is really not excellent, award-winning material here (well, maybe besides special effects), but it's still possible to enjoy this movie. Just don't look too much into it, and plan to come in expecting giant robots beating the shit out of each other, because that's what you'll get. My only complains are the length (it could have been shortened, to be honest), the overuse of "frat jokes" (that was kind of expected, but this movie has much more than the previous movie), and the abysmal soundtrack (then again, what do you expect from Bay? "Radiohead for Transformers 3?" Wait, that'd actually be pretty hilarious).

So yeah, why did I bother to make this?

I've been planning on making a blog to post reviews of movies, TV shows, cartoons, video games, basically anything, for a while, but never got around to doing so until now. Expect something up here soon, I guess.